Man Makes Fun of Wife for Postpartum Weight Gain—Her Diary Reveals the Dark Reality He Ignored
|Lisa Thompson had always been good at balancing her job and housework. She worked as an accountant in Santa Clara, California, and even though she had a busy schedule, she still managed to keep her house in order. She would wake up at 5 a.m. every day, make breakfast for her and her husband, Chad, go to work, and still come home in time to prepare dinner.
Chad used to help with housework too, and they were a happy couple. After three years of trying, Lisa finally got pregnant, and they were thrilled when they found out they were expecting twins.
After giving birth, Lisa decided to take a break from work to focus on raising their babies. She loved spending time with them, but Chad didn’t see it that way. He started calling her “lazy” because she wasn’t working outside the home.
“All you do is sit around. Why don’t you start working out? You’ve gained so much weight since the pregnancy,” Chad would say, often mocking her about her weight.
Lisa felt hurt by his words, but she tried to brush it off, thinking Chad was just stressed from work. However, over time, she felt like he was losing interest in her and their marriage. He no longer helped around the house, and when she suggested spending time together, he would avoid the conversation and go to bed.
Lisa realized something was wrong and knew she had to talk to him before things got worse.

“Honey, I know work has been keeping you busy, but we promised to always be open with each other,” Lisa said softly. “I’ve noticed something’s been bothering you.”
Chad barely looked up from his laptop. “There’s nothing going on, Lisa. Everything’s fine.”
“Are you sure? Because I’ve noticed—”
“Noticed what, Lisa?” Chad suddenly shouted. “Can’t you just let me work in peace? Why do you always have to meddle? If you have so much energy, why not use it to take care of yourself? When was the last time you even looked in the mirror?”
Lisa’s eyes filled with tears. “Chad…”
“Oh, here we go. Are you going to cry now and make me the bad guy? Fine, cry all you want! But let me tell you something—this can’t keep going like this. Look at your friends and then look at yourself. Why can’t you lose some weight? Tell me, are you doing this on purpose? Do you want me to leave? Or is there someone else?”
Lisa was shocked. “Are you serious, Chad? You think I’m cheating on you?”

“How would I know, Lisa? Maybe you’ve realized we’re not going to make it. You don’t work anymore, you just sit around. You say it’s to take care of the kids, but I think it’s just an excuse to stay home and do nothing. We can afford a babysitter, but no! You just want to stay at home and eat all day so you can gain more weight! Fine, do that!” Chad shouted as he stormed off.
Lisa couldn’t say a word. She broke down in tears as Chad walked away without listening to her. It wasn’t until later that night when Chad was working on his laptop that he heard a loud noise.
He rushed out, thinking it came from the twins’ room, but instead, he found Lisa unconscious on the floor. “Lisa! What happened?” he cried, trying to wake her up. When she didn’t respond, he quickly called 911 and rushed her to the hospital.
Before leaving, Chad asked their neighbor, Mrs. Clemments, to watch the twins. He came home late after admitting Lisa to the hospital. The doctors told him Lisa had collapsed due to stress and weakness.
Chad sank onto the bed, his face in his hands, thinking about how he had treated Lisa. *Maybe I was too harsh this time…* he thought. *But how could she be weak? Hasn’t she been resting at home all this time?* He sighed, still trying to understand, as he started tidying up the bed.

## Unrelated to this page: data records
VASP calculation (PBE-GGA) on a relaxed structure of Pm3Ge6Pd5.

Lattice parameters (Å, degrees): 4.350 12.856 9.543 90.00 90.00 90.00
Space group Pmmn (No. 59, origin choice 2)
Unique sites:
Pm: 0.250 0.056 0.246
Pm: 0.250 0.750 0.255
Ge: 0.250 0.082 0.883
Ge: 0.250 0.250 0.047
Ge: 0.250 0.250 0.448
Ge: 0.250 0.599 0.528
Pd: 0.250 0.095 0.614
Pd: 0.250 0.622 0.979
Pd: 0.250 0.750 0.724

Values from the calculation:
E_tot	-5.589	eV/atom

=====

Record 1
PmAl4 | GGA-PBE | relaxed

Structure (POSCAR):
```
PmAl4
1.0
-2.2431 3.2134 6.8943
2.2431 -3.2134 6.8943
2.2431 3.2134 -6.8943
Pm Al
2 8
Direct
0.3641 0.1141 0.2500
0.6359 0.8859 0.7500
0.0000 0.5000 0.5000
0.1364 0.8864 0.2500
0.1566 0.6979 0.4586
0.2607 0.3021 0.9586
0.5000 0.5000 0.0000
0.7393 0.6979 0.0414
0.8434 0.3021 0.5414
0.8636 0.1136 0.7500
```

For the energy of formation from the pure elements, the calculation gives -0.3470 eV per atom.

Record 2
PrHo4Ag2 | GGA-PBE | relaxed

Structure (POSCAR):
```
PrHo4Ag2
1.0
2.4577 1.4189 10.4406
-2.4577 1.4189 10.4406
0.0000 -2.8379 10.4406
Pr Ho Ag
1 4 2
Direct
0.0000 0.0000 0.0000
0.2009 0.2009 0.2009
0.3982 0.3982 0.3982
0.6018 0.6018 0.6018
0.7991 0.7991 0.7991
0.1027 0.1027 0.1027
0.8973 0.8973 0.8973
```

For the energy of formation from the pure elements, the calculation gives 0.1633 eV per atom.

Record 3
Pr4AsPb2Se | GGA-PBE | relaxed

Structure (POSCAR):
```
Pr4AsPb2Se
1.0
7.4783 0.0000 0.0000
0.0000 4.2911 0.0000
-2.4638 0.0000 7.7431
Pr As Pb Se
4 1 2 1
Direct
0.2373 0.0000 0.2227
0.2546 0.5000 0.7736
0.7454 0.5000 0.2264
0.7627 0.0000 0.7773
0.0000 0.5000 0.0000
0.0000 0.0000 0.5000
0.5000 0.5000 0.5000
0.5000 0.0000 0.0000
```

The value obtained for the uncorrected formation energy is -8.748 eV per formula unit.

Record 4
Ho2Ga2Rh | GGA-PBE | relaxed

Structure (POSCAR):
```
Ho2Ga2Rh
1.0
5.3745 -2.0517 0.0000
5.3745 2.0517 0.0000
-4.5609 0.0000 9.5549
Ho Ga Rh
4 4 2
Direct
0.0053 0.0053 0.3292
0.1899 0.1899 0.1213
0.8101 0.8101 0.8787
0.9947 0.9947 0.6708
0.3523 0.3523 0.4468
0.4728 0.4728 0.1099
0.5272 0.5272 0.8901
0.6477 0.6477 0.5532
0.2841 0.2841 0.6640
0.7159 0.7159 0.3360
```

For the energy of formation from the pure elements, the calculation gives -0.7732 eV per atom.

=====

First-principles (GGA-PBE) data for crystalline Pm3Ho2Er8 at its relaxed geometry, as listed in Alexandria via LeMat-Bulk.

a = 20.635 Å, b = 5.012 Å, c = 7.922 Å
## Here the page continues

As Chad was cleaning the bed, he pulled off the blanket, and a diary fell onto the floor, opening up. A few lines caught his eye. He picked it up and realized it was Lisa’s personal diary. *Reading someone else’s diary isn’t right, Chad,* he thought, but his curiosity took over. He opened to the first page, which was all about the birth of their twins, Lucas and Charlie.
“Hiii there, PD!
It’s your one and only owner! What better day to start writing than today? I’m so happy right now! I AM FINALLY A MOM! THANK YOU, GOD! I can’t describe how amazing it felt to hold my babies. I just hope I become a good mom. Oh, and I saw how emotional Chad was when he saw the babies. I know he’ll be a great dad, but I’ll love my kids so much that they’ll always take their mumma’s side, haha!!!”
As Chad continued reading, he forgot about everything that had been bothering him. Page after page, Lisa had written down all the little moments with their twins and how happy she was. But then one page made him stop, and the smile on his face disappeared.

*Hi PD,*
I’m really sad today. I don’t know if I did something wrong, but Chad seems distant lately. He still plays with the babies, but I feel like we’re drifting apart. Should I talk to him? Maybe it’s just his work. He works so hard for us, and maybe it’s just stress. I hope things get better soon.
Chad turned the page, and guilt started to creep in.
*Hi PD…*
I… I don’t know what to do! Does Chad want to leave me? He said something I never thought I’d hear. He mocked me, saying I look fat, and he didn’t even let me explain. I feel so self-conscious. Is Chad falling out of love with me? I need to talk to him, but I’m scared. Would that even help?
Chad kept flipping through the pages, and with each entry, the regret grew heavier. He realized how badly he had treated Lisa, and he felt ashamed for not recognizing her pain sooner.

*Hi PD!*
I’ve got an amazing idea to lose weight! I’ve been trying yoga and meditation, but Chad thinks I’m not even trying. He’s just too busy to notice! But just wait and see—I’m going to lose weight and surprise him on our wedding anniversary. My friend Tina told me about a gym that helps you lose weight in just a week! I’m so excited!
Chad wiped away his tears as he turned to the next page.
*Hi there, PD!*
Sorry I haven’t written in a while. I’m so exhausted! That gym makes me wake up super early, and the diet they gave me is crazy! I feel sick after eating the raw stuff they suggested, and Chad… he still won’t stop mocking me. I’m seriously tired of this. I don’t know how much more I can handle…
Chad felt a deep wave of guilt wash over him. *How did I not notice she was trying so hard? And why did I keep mocking her?* He realized how blind he had been. *She’s my wife, the woman I loved with all my heart. I need to make this right.*
Determined to make it up to her, Chad went to the hospital the next day. He brought Lisa a bouquet of her favorite flowers and a card that said, “Get well soon, honey! The kids and I miss you so much. Home doesn’t feel like home without you.”

After receiving the flowers and card, Lisa felt emotional. Chad hadn’t done anything special for her in a long time. “Thank you, Chad,” she whispered, her eyes filling with tears. “I—I…”
“You don’t need to say anything, Lisa. I was awful to you, and I said things I never should have. I’m sorry. You’re beautiful just the way you are, and everything I said about your looks was nonsense. I’m a jerk for saying those things!” Chad said, hugging her tightly.
“Oh, Chad… It’s—It’s okay,” Lisa muttered, hugging him back.
“I’m going to be a better person, Lisa. I promise,” Chad told her.
When Lisa was discharged from the hospital and came home, Chad surprised her with a candlelight dinner. The room was beautifully decorated, and a soft romantic song played in the background. He pulled out a chair for her and poured her some wine.
Later, Chad got down on one knee and asked, “Mrs. Lisa Thompson, would you like to dance with me?” Lisa smiled and nodded, and they shared a passionate kiss as they held each other close.
From that day on, Chad became a new man. Lisa couldn’t believe how much things had changed. He helped her with everything, took her out to movies on the weekends, and, most importantly, always told her, “I love you for who you are, honey.”
Lisa still goes to the gym, but now she focuses on being healthy rather than trying to lose weight quickly with fad diets.